Activity:
Your job: return the data below word for word.

Data:
<<<
# CrSi2Mo

An optimized crystal structure of CrSi2Mo (PBE, Alexandria).

The space group is C2/m.

Cell: 4.684 4.684 2.774 Å, 79.10 79.10 109.08°
Positions (direct):
Mo: 0.000 0.500 0.500
Cr: 0.500 0.000 0.500
Si: 0.000 0.000 0.000
Si: 0.500 0.500 0.000

---

# CrSiMo

An optimized crystal structure of CrSiMo (PBE, Alexandria).

The space group is F-43m.

Cell: 4.030 4.030 4.030 Å, 60.00 60.00 60.00°
Positions (direct):
Cr: 0.750 0.750 0.750
Mo: 0.000 0.000 0.000
Si: 0.500 0.500 0.500

---

# CrSi2Mo

An optimized crystal structure of CrSi2Mo (PBE, Alexandria).

The space group is Amm2.

Cell: 4.041 2.997 4.646 Å, 71.19 90.00 90.00°
Positions (direct):
Si: 0.500 0.036 0.302
Si: 0.000 0.211 0.953
Mo: 0.500 0.765 0.846
Cr: 0.000 0.488 0.399

---

# CrSi2Mo

An optimized crystal structure of CrSi2Mo (PBE, Alexandria).

The space group is Cm.

Cell: 4.611 4.611 4.265 Å, 75.02 75.02 37.47°
Positions (direct):
Si: 0.751 0.751 0.711
Si: 0.002 0.002 0.032
Mo: 0.256 0.256 0.206
Cr: 0.491 0.491 0.551

---

no.,E_form (uncorrected) (meV per atom)
1,-21
2,190
3,-232
4,-156


CaCu GGA-PBE relaxed; formation energy = 8 kJ/mol of atoms
1.0
-3.234 3.545 -3.423
2.169 -2.652 -4.796
-4.384 -3.855 0.149
Cu Ca
4 4
direct
0.155 0.845 0.500
0.655 0.655 0.000
0.345 0.345 0.000
0.845 0.155 0.500
0.698 0.698 0.500
0.302 0.302 0.500
0.802 0.198 0.000
0.198 0.802 0.000


BeCdAs2: optimized geometry, PBE.

Calculated values
Its electronic total energy is -2.88 eV/atom. For the offset from the most stable computed form, the calculation gives 0.5408 eV per atom. The formation energy is 2.4 eV/f.u.

```
data_BeCdAs2
_chemical_formula_sum 'Be4 Cd4 As8'
_cell_length_a 6.617
_cell_length_b 6.617
_cell_length_c 6.617
_cell_angle_alpha 90.00
_cell_angle_beta 90.00
_cell_angle_gamma 90.00
_space_group_name_H-M_alt 'F -4 3 m'
_space_group_IT_number 216
_space_group_name_Hall 'F -4 2 3'
loop_
_atom_site_label
_atom_site_type_symbol
_atom_site_fract_x
_atom_site_fract_y
_atom_site_fract_z
Be1 Be 0.000 0.000 0.000
Cd1 Cd 0.250 0.250 0.250
As1 As 0.000 0.000 0.500
As2 As 0.250 0.250 0.750
```

BeZnFe2: optimized geometry, PBE.

Calculated values
Its electronic total energy is -5.47 eV/atom. For the offset from the most stable computed form, the calculation gives 0.0846 eV per atom. The formation energy is 0.0 eV/f.u.

```
data_BeZnFe2
_chemical_formula_sum 'Be2 Zn2 Fe4'
_cell_length_a 4.976
_cell_length_b 7.215
_cell_length_c 2.510
_cell_angle_alpha 90.00
_cell_angle_beta 90.85
_cell_angle_gamma 90.00
_space_group_name_H-M_alt 'C 1 2/m 1'
_space_group_IT_number 12
loop_
_space_group_symop_operation_xyz
'x,y,z'
'-x,-y,-z'
'-x,y,-z'
'x,-y,z'
'x+1/2,y+1/2,z'
'-x+1/2,-y+1/2,-z'
'-x+1/2,y+1/2,-z'
'x+1/2,-y+1/2,z'
loop_
_atom_site_label
_atom_site_type_symbol
_atom_site_fract_x
_atom_site_fract_y
_atom_site_fract_z
Be1 Be 0.000 0.000 0.000
Zn1 Zn 0.000 0.500 0.000
Fe1 Fe 0.250 0.250 0.500
```

Cs2NaScI6: optimized geometry, PBE.

Calculated values
Its electronic total energy is -3.24 eV/atom. The calculation puts the formation energy (no corrections) at -1378 meV per atom.

```
data_Cs2NaScI6
_chemical_formula_sum 'Cs8 Na4 Sc4 I24'
_cell_length_a 12.151
_cell_length_b 12.151
_cell_length_c 12.151
_cell_angle_alpha 90.00
_cell_angle_beta 90.00
_cell_angle_gamma 90.00
_space_group_name_H-M_alt 'F m -3 m'
_space_group_IT_number 225
_space_group_name_Hall '-F 4 2 3'
loop_
_atom_site_label
_atom_site_type_symbol
_atom_site_fract_x
_atom_site_fract_y
_atom_site_fract_z
Cs1 Cs 0.250 0.250 0.250
Na1 Na 0.000 0.000 0.000
Sc1 Sc 0.000 0.000 0.500
I1 I 0.000 0.000 0.261
```

NaAc3Tl4: optimized geometry, PBE.

Calculated values
Its electronic total energy is -3.09 eV/atom. For the offset from the most stable computed form, the calculation gives 0.1128 eV per atom. The formation energy is -1.6 eV/f.u.

```
data_NaAc3Tl4
_chemical_formula_sum 'Na2 Ac6 Tl8'
_cell_length_a 3.989
_cell_length_b 7.869
_cell_length_c 18.736
_cell_angle_alpha 90.00
_cell_angle_beta 90.00
>>>

Reply:
# CrSi2Mo

An optimized crystal structure of CrSi2Mo (PBE, Alexandria).

The space group is C2/m.

Cell: 4.684 4.684 2.774 Å, 79.10 79.10 109.08°
Positions (direct):
Mo: 0.000 0.500 0.500
Cr: 0.500 0.000 0.500
Si: 0.000 0.000 0.000
Si: 0.500 0.500 0.000

---

# CrSiMo

An optimized crystal structure of CrSiMo (PBE, Alexandria).

The space group is F-43m.

Cell: 4.030 4.030 4.030 Å, 60.00 60.00 60.00°
Positions (direct):
Cr: 0.750 0.750 0.750
Mo: 0.000 0.000 0.000
Si: 0.500 0.500 0.500

---

# CrSi2Mo

An optimized crystal structure of CrSi2Mo (PBE, Alexandria).

The space group is Amm2.

Cell: 4.041 2.997 4.646 Å, 71.19 90.00 90.00°
Positions (direct):
Si: 0.500 0.036 0.302
Si: 0.000 0.211 0.953
Mo: 0.500 0.765 0.846
Cr: 0.000 0.488 0.399

---

# CrSi2Mo

An optimized crystal structure of CrSi2Mo (PBE, Alexandria).

The space group is Cm.

Cell: 4.611 4.611 4.265 Å, 75.02 75.02 37.47°
Positions (direct):
Si: 0.751 0.751 0.711
Si: 0.002 0.002 0.032
Mo: 0.256 0.256 0.206
Cr: 0.491 0.491 0.551

---

no.,E_form (uncorrected) (meV per atom)
1,-21
2,190
3,-232
4,-156


CaCu GGA-PBE relaxed; formation energy = 8 kJ/mol of atoms
1.0
-3.234 3.545 -3.423
2.169 -2.652 -4.796
-4.384 -3.855 0.149
Cu Ca
4 4
direct
0.155 0.845 0.500
0.655 0.655 0.000
0.345 0.345 0.000
0.845 0.155 0.500
0.698 0.698 0.500
0.302 0.302 0.500
0.802 0.198 0.000
0.198 0.802 0.000


BeCdAs2: optimized geometry, PBE.

Calculated values
Its electronic total energy is -2.88 eV/atom. For the offset from the most stable computed form, the calculation gives 0.5408 eV per atom. The formation energy is 2.4 eV/f.u.

```
data_BeCdAs2
_chemical_formula_sum 'Be4 Cd4 As8'
_cell_length_a 6.617
_cell_length_b 6.617
_cell_length_c 6.617
_cell_angle_alpha 90.00
_cell_angle_beta 90.00
_cell_angle_gamma 90.00
_space_group_name_H-M_alt 'F -4 3 m'
_space_group_IT_number 216
_space_group_name_Hall 'F -4 2 3'
loop_
_atom_site_label
_atom_site_type_symbol
_atom_site_fract_x
_atom_site_fract_y
_atom_site_fract_z
Be1 Be 0.000 0.000 0.000
Cd1 Cd 0.250 0.250 0.250
As1 As 0.000 0.000 0.500
As2 As 0.250 0.250 0.750
```

BeZnFe2: optimized geometry, PBE.

Calculated values
Its electronic total energy is -5.47 eV/atom. For the offset from the most stable computed form, the calculation gives 0.0846 eV per atom. The formation energy is 0.0 eV/f.u.

```
data_BeZnFe2
_chemical_formula_sum 'Be2 Zn2 Fe4'
_cell_length_a 4.976
_cell_length_b 7.215
_cell_length_c 2.510
_cell_angle_alpha 90.00
_cell_angle_beta 90.85
_cell_angle_gamma 90.00
_space_group_name_H-M_alt 'C 1 2/m 1'
_space_group_IT_number 12
loop_
_space_group_symop_operation_xyz
'x,y,z'
'-x,-y,-z'
'-x,y,-z'
'x,-y,z'
'x+1/2,y+1/2,z'
'-x+1/2,-y+1/2,-z'
'-x+1/2,y+1/2,-z'
'x+1/2,-y+1/2,z'
loop_
_atom_site_label
_atom_site_type_symbol
_atom_site_fract_x
_atom_site_fract_y
_atom_site_fract_z
Be1 Be 0.000 0.000 0.000
Zn1 Zn 0.000 0.500 0.000
Fe1 Fe 0.250 0.250 0.500
```

Cs2NaScI6: optimized geometry, PBE.

Calculated values
Its electronic total energy is -3.24 eV/atom. The calculation puts the formation energy (no corrections) at -1378 meV per atom.

```
data_Cs2NaScI6
_chemical_formula_sum 'Cs8 Na4 Sc4 I24'
_cell_length_a 12.151
_cell_length_b 12.151
_cell_length_c 12.151
_cell_angle_alpha 90.00
_cell_angle_beta 90.00
_cell_angle_gamma 90.00
_space_group_name_H-M_alt 'F m -3 m'
_space_group_IT_number 225
_space_group_name_Hall '-F 4 2 3'
loop_
_atom_site_label
_atom_site_type_symbol
_atom_site_fract_x
_atom_site_fract_y
_atom_site_fract_z
Cs1 Cs 0.250 0.250 0.250
Na1 Na 0.000 0.000 0.000
Sc1 Sc 0.000 0.000 0.500
I1 I 0.000 0.000 0.261
```

NaAc3Tl4: optimized geometry, PBE.

Calculated values
Its electronic total energy is -3.09 eV/atom. For the offset from the most stable computed form, the calculation gives 0.1128 eV per atom. The formation energy is -1.6 eV/f.u.

```
data_NaAc3Tl4
_chemical_formula_sum 'Na2 Ac6 Tl8'
_cell_length_a 3.989
_cell_length_b 7.869
_cell_length_c 18.736
_cell_angle_alpha 90.00
_cell_angle_beta 90.00